**Activity**
Could you restate the material underneath from the line with "0.862 0.513" to the end without additions?

**Excerpt**
<<<
A relaxed Rb2TlCl5O crystal, computed with PBE.

SG: Pnma
Formation energy from the elements, eV per atom: -1.021

POSCAR file:
```
Rb2TlCl5O
1.0
13.660 0.000 0.000
0.000 10.489 0.000
0.000 0.000 7.897
Rb Tl Cl O
8 4 20 4
direct
0.138 0.013 0.184
0.138 0.487 0.184
0.362 0.513 0.684
0.362 0.987 0.684
0.638 0.013 0.316
0.638 0.487 0.316
0.862 0.513 0.816
0.862 0.987 0.816
0.110 0.250 0.734
0.390 0.750 0.234
0.610 0.250 0.766
0.890 0.750 0.266
0.013 0.750 0.023
0.102 0.008 0.694
0.102 0.492 0.694
0.217 0.250 0.422
0.235 0.750 0.411
0.265 0.250 0.911
0.283 0.750 0.922
0.398 0.508 0.194
0.398 0.992 0.194
0.487 0.250 0.523
0.513 0.750 0.477
0.602 0.008 0.806
0.602 0.492 0.806
0.717 0.250 0.078
0.735 0.750 0.089
0.765 0.250 0.589
0.783 0.750 0.578
0.898 0.508 0.306
0.898 0.992 0.306
0.987 0.250 0.977
0.044 0.250 0.464
0.456 0.750 0.964
0.544 0.250 0.036
0.956 0.750 0.536
```


Below is a relaxed Mn2SbN3 crystal, with properties calculated at the PBE level.

abc: 5.4075 5.4075 5.4197
angles: 90.00 90.00 66.96
Last column: nearest neighbours and their distance in Å.
Sites, in units of the cell vectors:
Mn 0.0515 0.3723 0.0000  3 N 1.76-1.87
Mn 0.3723 0.0515 0.5000  3 N 1.76-1.87
Mn 0.6277 0.9485 0.0000  3 N 1.76-1.87
Mn 0.9485 0.6277 0.5000  3 N 1.76-1.87
Sb 0.3739 0.6261 0.9242  2 N 2.20-2.24
Sb 0.6261 0.3739 0.4242  2 N 2.20-2.24
N 0.1291 0.3078 0.6720  3 Mn 1.76-1.87
>>>

**Completed**
0.862 0.513 0.816
0.862 0.987 0.816
0.110 0.250 0.734
0.390 0.750 0.234
0.610 0.250 0.766
0.890 0.750 0.266
0.013 0.750 0.023
0.102 0.008 0.694
0.102 0.492 0.694
0.217 0.250 0.422
0.235 0.750 0.411
0.265 0.250 0.911
0.283 0.750 0.922
0.398 0.508 0.194
0.398 0.992 0.194
0.487 0.250 0.523
0.513 0.750 0.477
0.602 0.008 0.806
0.602 0.492 0.806
0.717 0.250 0.078
0.735 0.750 0.089
0.765 0.250 0.589
0.783 0.750 0.578
0.898 0.508 0.306
0.898 0.992 0.306
0.987 0.250 0.977
0.044 0.250 0.464
0.456 0.750 0.964
0.544 0.250 0.036
0.956 0.750 0.536
```


Below is a relaxed Mn2SbN3 crystal, with properties calculated at the PBE level.

abc: 5.4075 5.4075 5.4197
angles: 90.00 90.00 66.96
Last column: nearest neighbours and their distance in Å.
Sites, in units of the cell vectors:
Mn 0.0515 0.3723 0.0000  3 N 1.76-1.87
Mn 0.3723 0.0515 0.5000  3 N 1.76-1.87
Mn 0.6277 0.9485 0.0000  3 N 1.76-1.87
Mn 0.9485 0.6277 0.5000  3 N 1.76-1.87
Sb 0.3739 0.6261 0.9242  2 N 2.20-2.24
Sb 0.6261 0.3739 0.4242  2 N 2.20-2.24
N 0.1291 0.3078 0.6720  3 Mn 1.76-1.87